### Brief
It remains to echo only the last part of the notes underneath, starting with the line that has "_space_group_name_H-M_alt 'P".

### Entries
1.
# Zr6TiTl3
Simulated powder diffraction line list, Cu Kα X-rays. Input: the PBE geometry in Alexandria.
Kinematic intensities with the Lorentz-polarization factor, no thermal factor.

Main lines, sorted by position (10° ≤ 2θ ≤ 90°):
20.98°, I 40
31.67°, I 56
33.80°, I 33
36.77°, I 100
40.12°, I 30
45.70°, I 35
49.30°, I 14
61.93°, I 14
64.34°, I 18
66.22°, I 16

Structural model:
a b c (Å): 6.1874 6.1874 6.1874
angles (deg): 86.35 86.35 86.35
Sites, in units of the cell vectors:
Zr1 0.0993 0.3929 0.7666
Zr2 0.2334 0.9007 0.6071
Zr3 0.3929 0.7666 0.0993
Zr4 0.6071 0.2334 0.9007
Zr5 0.7666 0.0993 0.3929
Zr6 0.9007 0.6071 0.2334
Ti1 0.0000 0.0000 0.0000
Tl1 0.2445 0.2445 0.2445
Tl2 0.5000 0.5000 0.5000
Tl3 0.7555 0.7555 0.7555

2.
# PaZnCo4H6
Simulated powder diffraction line list, Cu Kα X-rays. Input: the PBE geometry in Alexandria.
Kinematic intensities with the Lorentz-polarization factor, no thermal factor.

Main lines, sorted by position (10° ≤ 2θ ≤ 90°):
24.18°, I 28
27.88°, I 59
36.96°, I 100
41.81°, I 12
42.55°, I 68
51.63°, I 12
57.60°, I 27
61.18°, I 24
62.65°, I 15
74.19°, I 25

Structural model:
a b c (Å): 4.2496 4.2496 6.4811
angles (deg): 90.00 90.00 120.00
Sites, in units of the cell vectors:
Pa1 0.0000 0.0000 0.0000
Zn1 0.0000 0.0000 0.5000
Co1 0.3333 0.6667 0.3174
Co2 0.3333 0.6667 0.6826
Co3 0.6667 0.3333 0.3174
Co4 0.6667 0.3333 0.6826
H1 0.0000 0.5000 0.1466
H2 0.0000 0.5000 0.8534
H3 0.5000 0.0000 0.1466
H4 0.5000 0.0000 0.8534
H5 0.5000 0.5000 0.1466
H6 0.5000 0.5000 0.8534

Please write out number 2 again, unchanged.
# PaZnCo4H6
Simulated powder diffraction line list, Cu Kα X-rays. Input: the PBE geometry in Alexandria.
Kinematic intensities with the Lorentz-polarization factor, no thermal factor.

Main lines, sorted by position (10° ≤ 2θ ≤ 90°):
24.18°, I 28
27.88°, I 59
36.96°, I 100
41.81°, I 12
42.55°, I 68
51.63°, I 12
57.60°, I 27
61.18°, I 24
62.65°, I 15
74.19°, I 25

Structural model:
a b c (Å): 4.2496 4.2496 6.4811
angles (deg): 90.00 90.00 120.00
Sites, in units of the cell vectors:
Pa1 0.0000 0.0000 0.0000
Zn1 0.0000 0.0000 0.5000
Co1 0.3333 0.6667 0.3174
Co2 0.3333 0.6667 0.6826
Co3 0.6667 0.3333 0.3174
Co4 0.6667 0.3333 0.6826
H1 0.0000 0.5000 0.1466
H2 0.0000 0.5000 0.8534
H3 0.5000 0.0000 0.1466
H4 0.5000 0.0000 0.8534
H5 0.5000 0.5000 0.1466
H6 0.5000 0.5000 0.8534

Number 1 is which compound? Zr6TiTl3

* * * * *

Record 1
Computed powder XRD pattern
Compound: PmPr6Ag
Radiation: a wavelength of 1.5418 Å
Structure: a GGA-PBE-relaxed structure
Kinematic intensities with the Lorentz-polarization factor, no thermal factor.

Crystal structure
```
data_PmPr6Ag
_chemical_formula_sum 'Pm1 Pr6 Ag1'
_space_group_name_H-M_alt 'P -1'
_space_group_IT_number 2
_space_group_name_Hall '-P 1'
_cell_length_a 6.524
_cell_length_b 6.524
_cell_length_c 6.526
_cell_angle_alpha 96.02
_cell_angle_beta 96.15
_cell_angle_gamma 96.18
loop_
_atom_site_label
_atom_site_type_symbol
_atom_site_fract_x
_atom_site_fract_y
_atom_site_fract_z
Pm1 Pm 0.000 0.000 0.000
Pr1 Pr 0.068 0.264 0.549
Pr2 Pr 0.263 0.548 0.069
Pr3 Pr 0.452 0.932 0.737
Ag1 Ag 0.500 0.500 0.500
```

Most intense lines, 2θ from 10° to 90°, low angle first:
| hkl | d/Å | intensity |
| --- | --- | --- |
| 1 1 1 | 3.342 | 25 |
| 2 0 0 | 3.220 | 25 |
| 1 0 -2 | 3.029 | 100 |
| -2 1 1 | 2.802 | 17 |
| 0 1 2 | 2.752 | 30 |
| 1 -1 2 | 2.683 | 91 |
| 2 1 1 | 2.402 | 14 |
| 0 1 3 | 1.968 | 21 |
| 1 2 -3 | 1.834 | 28 |
| 2 0 -4 | 1.514 | 14 |

=====

Record 2
Computed powder XRD pattern
Compound: Pm2PrAg4
Radiation: a wavelength of 1.5418 Å
Structure: a GGA-PBE-relaxed structure
Kinematic intensities with the Lorentz-polarization factor, no thermal factor.

Crystal structure
```
data_Pm2PrAg4
_chemical_formula_sum 'Pm4 Pr2 Ag8'
_space_group_name_H-M_alt 'I 4/m m m'
_space_group_IT_number 139
_space_group_name_Hall '-I 4 2'
_cell_length_a 5.490
_cell_length_b 5.490
_cell_length_c 12.842
_cell_angle_alpha 90.00
_cell_angle_beta 90.00
_cell_angle_gamma 90.00
loop_

### Completed
_space_group_name_H-M_alt 'P -1'
_space_group_IT_number 2
_space_group_name_Hall '-P 1'
_cell_length_a 6.524
_cell_length_b 6.524
_cell_length_c 6.526
_cell_angle_alpha 96.02
_cell_angle_beta 96.15
_cell_angle_gamma 96.18
loop_
_atom_site_label
_atom_site_type_symbol
_atom_site_fract_x
_atom_site_fract_y
_atom_site_fract_z
Pm1 Pm 0.000 0.000 0.000
Pr1 Pr 0.068 0.264 0.549
Pr2 Pr 0.263 0.548 0.069
Pr3 Pr 0.452 0.932 0.737
Ag1 Ag 0.500 0.500 0.500
```

Most intense lines, 2θ from 10° to 90°, low angle first:
| hkl | d/Å | intensity |
| --- | --- | --- |
| 1 1 1 | 3.342 | 25 |
| 2 0 0 | 3.220 | 25 |
| 1 0 -2 | 3.029 | 100 |
| -2 1 1 | 2.802 | 17 |
| 0 1 2 | 2.752 | 30 |
| 1 -1 2 | 2.683 | 91 |
| 2 1 1 | 2.402 | 14 |
| 0 1 3 | 1.968 | 21 |
| 1 2 -3 | 1.834 | 28 |
| 2 0 -4 | 1.514 | 14 |

=====

Record 2
Computed powder XRD pattern
Compound: Pm2PrAg4
Radiation: a wavelength of 1.5418 Å
Structure: a GGA-PBE-relaxed structure
Kinematic intensities with the Lorentz-polarization factor, no thermal factor.

Crystal structure
```
data_Pm2PrAg4
_chemical_formula_sum 'Pm4 Pr2 Ag8'
_space_group_name_H-M_alt 'I 4/m m m'
_space_group_IT_number 139
_space_group_name_Hall '-I 4 2'
_cell_length_a 5.490
_cell_length_b 5.490
_cell_length_c 12.842
_cell_angle_alpha 90.00
_cell_angle_beta 90.00
_cell_angle_gamma 90.00
loop_